Could you filter the block below: keep the lines with the word "OQMD"?

[1]
Compound: TbBMoN2
Source: OQMD via LeMat-Bulk
Functional: PBE
Structure: relaxed

Raw total energy, eV/atom: -8.592
Space-group type: P2_1/m, No. 11
Magnetization, Bohr magnetons per cell: 0.00

The structure in extended XYZ format:
```
10
Lattice="5.859 0.000 0.000 0.000 3.114 0.000 -0.785 0.000 6.055" Properties=species:S:1:pos:R:3 pbc="T T T"
N 1.605 2.335 0.096
Mo 3.519 2.335 1.236
Tb 0.506 0.778 1.525
N 3.469 0.778 5.959
B 2.906 0.778 2.935
Tb 4.568 2.335 4.530
N 0.742 2.335 3.452
Mo 1.554 0.778 4.819
N 4.332 0.778 2.603
B 2.167 2.335 3.120
```

[2]
Compound: NaBMo
Source: OQMD via LeMat-Bulk
Functional: PBE
Structure: relaxed

Raw total energy, eV/atom: -5.109
Space-group type: F-43m, No. 216
Magnetization, Bohr magnetons per cell: 1.48

The structure in extended XYZ format:
```
3
Lattice="-2.115 0.683 3.274 -3.174 -2.221 0.804 0.100 -2.584 2.995" Properties=species:S:1:pos:R:3 pbc="T T T"
Na -3.892 -3.092 5.304
B 0.000 0.000 0.000
Mo -1.297 -1.031 1.768
```

[3]
Compound: NaB4Mo
Source: OQMD via LeMat-Bulk
Functional: PBE
Structure: relaxed

Raw total energy, eV/atom: -6.666
Space-group type: P6/mmm, No. 191
Magnetization, Bohr magnetons per cell: 0.01

The structure in extended XYZ format:
```
6
Lattice="-0.397 2.780 -1.056 -2.123 -1.281 1.689 3.262 2.844 6.258" Properties=species:S:1:pos:R:3 pbc="T T T"
B 0.794 2.115 5.266
Mo 1.631 1.422 3.129
B -0.628 0.875 2.539
Na 0.000 0.000 0.000
B 1.370 3.468 4.351
B -0.052 2.229 1.624
```

[4]
Compound: NaB4Mo
Source: OQMD via LeMat-Bulk
Functional: PBE
Structure: relaxed

Raw total energy, eV/atom: -6.485
Space-group type: Immm, No. 71
Magnetization, Bohr magnetons per cell: 0.00

The structure in extended XYZ format:
```
6
Lattice="-2.126 -4.028 0.446 -4.129 1.743 0.921 3.071 -0.315 -3.378" Properties=species:S:1:pos:R:3 pbc="T T T"
B -2.280 0.844 -0.399
B -0.905 -3.444 -1.612
B -1.215 -2.018 -0.650
Na 0.000 0.000 0.000
B -1.969 -0.581 -1.361
Mo -3.128 -1.142 0.683
```

[5]
Compound: NaBMoOs
Source: OQMD via LeMat-Bulk
Functional: PBE
Structure: relaxed

Raw total energy, eV/atom: -6.566
Space-group type: F-43m, No. 216
Magnetization, Bohr magnetons per cell: 0.00

The structure in extended XYZ format:
```
4
Lattice="0.463 1.348 4.005 -2.481 -1.573 3.072 1.643 -2.594 2.939" Properties=species:S:1:pos:R:3 pbc="T T T"
Os -0.187 -1.410 5.008
Mo -0.094 -0.705 2.504
B 0.000 0.000 0.000
Na -0.281 -2.115 7.512
```

[6]
Compound: NaBMoOs
Source: OQMD via LeMat-Bulk
Functional: PBE
Structure: relaxed

Raw total energy, eV/atom: -6.725
Space-group type: F-43m, No. 216
Magnetization, Bohr magnetons per cell: 0.00

The structure in extended XYZ format:
```
4
Lattice="0.000 2.979 2.979 2.979 0.000 2.979 2.979 2.979 0.000" Properties=species:S:1:pos:R:3 pbc="T T T"
Os 1.489 1.489 1.489
B 2.979 2.979 2.979
Mo 0.000 0.000 0.000
Na 4.468 4.468 4.468
```

[7]
Compound: Nb2B2Mo
Source: OQMD via LeMat-Bulk
Functional: PBE
Structure: relaxed

Raw total energy, eV/atom: -9.521
Space-group type: P4/mbm, No. 127
Magnetization, Bohr magnetons per cell: 0.00

The structure in extended XYZ format:
```
10
Lattice="-1.088 3.923 4.580 -6.021 -0.962 -0.606 0.178 -2.477 2.164" Properties=species:S:1:pos:R:3 pbc="T T T"
Nb -5.594 0.634 3.693
Nb -2.739 1.674 4.649
Mo -3.554 1.480 1.987
Mo 0.000 0.000 0.000
Nb -1.336 -0.150 2.445
B -5.796 0.679 1.254
B -2.477 0.048 0.259
B -4.632 2.913 3.716
B -1.313 2.282 2.720
Nb -4.192 -1.191 1.489
```

[8]
Compound: NbBMo2
Source: OQMD via LeMat-Bulk
Functional: PBE
Structure: relaxed

Raw total energy, eV/atom: -9.175
Space-group type: F-43m, No. 216
Magnetization, Bohr magnetons per cell: 0.00

The structure in extended XYZ format:
```
4
Lattice="-0.018 -0.226 4.319 -0.762 3.551 2.348 -3.719 0.399 2.171" Properties=species:S:1:pos:R:3 pbc="T T T"
Nb -1.125 0.931 2.209
B -2.250 1.862 4.419
Mo -3.374 2.793 6.628
Mo 0.000 0.000 0.000
```

[9]
Compound: NbBMo
Source: OQMD via LeMat-Bulk
Functional: PBE
Structure: relaxed

Source: OQMD via LeMat-Bulk
Source: OQMD via LeMat-Bulk
Source: OQMD via LeMat-Bulk
Source: OQMD via LeMat-Bulk
Source: OQMD via LeMat-Bulk
Source: OQMD via LeMat-Bulk
Source: OQMD via LeMat-Bulk
Source: OQMD via LeMat-Bulk
Source: OQMD via LeMat-Bulk